Words, conversations, speeches

We only wanted to point out to those who wish the path on which, having embarked, it is possible to go safely to the goal. Amen.

Sermon on the Day of the Coronation of the Most Pious Tsar Nicholas Pavlovich, Emperor and Autocrat of All Russia, Delivered at the Kiev-Pechersk Lavra on August 22, 1832

Thy processions have been seen, O God, the processions of my God the King, Who is holy (Psalm 67:25)

The porphyry-bearing singer of Israel, in the midst of prophetic raptures and visions, once turned his gaze to the past fate of his homeland - and his bright eye almost drooped from the multitude and greatness of the miracles performed by Providence for the glory of his people Israel (Luke 2:32). He saw the wondrous exodus of the Israelites from Egypt; an even more wondrous crossing of the Red Sea; legislation and miracles at Sinai; he sees Jehovah, the Lord of hosts, dwelling in the midst of his people, and leading them as a pillar of fire and cloud in the wilderness. how the earth shakes and the heavens melt at the presence of the God of Sinai, he sees, and from the fullness of grateful feeling he exclaims: "Thy processions have been seen, O God, the processions of my God the King, Who is in holiness!

This royal day, listeners, calls upon us to turn our gaze to the fate of our Fatherland. We believe that the God of Israel is both our Lord and our fathers, that our kings reign over Him, and our mighty ones burn righteousness with Him (Proverbs 8:15); we believe that our most pious sovereigns, accepting visible anointing... from the Holy One (1 John 2:20), at the same time they are clothed with invisible power from above (Luke 24:49), that the Spirit of God hovers over them from that day (1 Samuel 16:13), guiding them into all truth (John 16:13). It is impossible that this blessed faith does not have confirmation in the very fate of our Fatherland, that in the sacred tablets of the history of our kings there is not found empirical evidence of the great truth that there is given to them from the Lord power and power from the Most High (Wis. 6:3). When is it more appropriate to proclaim this great and joyous truth in the ears of one and all, if not on this royal day, in remembrance of the sacred coronation of our most pious sovereign Nicholas I, not only in name, but also in deeds?

Therefore, true sons of the Church and the Fatherland, come, let us magnify the Lord of our fathers together; let us unbend the sacred tablets of the people's existence and proclaim the fate of God's Providence, revealed in the lives and deeds of our kings. But so that our weak eye may not be darkened by the multitude and variety of God's ways, let us now focus our reverent attention solely on the fate of the blessed reigning House.

When Providence takes a nation or tribe under its protection, it apparently removes it from among the rest at the very beginning, appropriates it to Itself especially, and puts upon it a certain indelible seal of the highest election. As it seems, this seal was laid at the very beginning on the sovereign house of the Romanovs! If anyone, then the name "crowned by God" and "exalted by God" in all its power befitted its ancestor! People acted so little in this case, or, more precisely, so much opposed, that it was most likely to be expected that the young lad would be completely forgotten. In fact, who remembered Michael, except the Heavenly Father, Who hid him for a time in the mystery of His face from the rebellion of man (Psalm 30:21)? It seems to me that I see how the crown, torn from Godunov's brow by the storm, is transferred from head to head, as if looking for a worthy one! Not finding one, he apparently wants to join the crowns of foreigners! But now the head of the son of the Russian land, the man of abuse and counsel, is crowned with him. Isn't this the end of disasters? Won't Shuisky find the means to establish his throne, to pacify the Fatherland? - No, Providence wants the good of Russia not for years, but for eternity; for this he needs not courage, but goodness and innocence; The new royal vertigrad must begin from the virgin rod. And so, in the voice of the people, at last, the voice of God is reflected; they seek the earthly king at the foot of the Throne of the King of Heaven; from the depths of the holy monastery comes the one who must appease the wrath of God over the troubled Fatherland with his innocence. What a blessed and holy beginning! At this time, the words of the prophet were fulfilled over Russia, as over ancient Israel: "I will lead a child little..." and he shall lay his hand on the caves of the fiends of asps (Isaiah 11:6:8). For what was Michael, in comparison with many men of power, if not a little child? And that there were many cities and villages, embraced by the spirit of rebellion, if not "caves of asps"? - But the God-crowned lad laid his sovereign hand on these caves, and they turned into dwellings of the world. It seemed that he had come out of the holy monastery, surrounded by the invisible Heavenly Host. After some experiments of patience, necessary for the rooting of the young royal age in humility and hope in God, all the hostile began to bow down at the mere name of the autocrat. And where courage and art were exhausted without success, one royal word was enough, and Russia, which had hitherto wavered from one end to the other of Mikhailov's reign, like an ocean after a storm, lay within its boundaries with the natural quietness of a child.

Blessed is not the Lord, Who has so favored our beloved Fatherland? Who removed the seekers of other tribes from the Orthodox throne? Who raised up the progenitor of kings from among His people, from the house of His holiness? Who gave young kindness its strength and strength?

Thy processions have been seen, O God, the processions of my God the King, Who is in holiness!

-- Unrelated to this text: records of crystals --
/*
Record 1
# ErCd2

An optimized crystal structure of ErCd2 (r²SCAN, Materials Project).

Cell lengths 4.885, 4.885, 3.444 Å; angles 90.00, 90.00, 120.00 degrees
Atoms (fractional coordinates):
Er: 0.000 0.000 0.000
Cd: 0.667 0.333 0.500
Cd: 0.333 0.667 0.500

Summary:
* energy of formation: -1.04 eV per formula unit
* ρ: 9.1 g cm⁻³
* SG: P6/mmm (191)

=====

Record 2
# ErCd

An optimized crystal structure of ErCd (r²SCAN, Materials Project).

Cell lengths 3.686, 3.686, 3.686 Å; angles 90.00, 90.00, 90.00 degrees
Atoms (fractional coordinates):
Cd: 0.000 0.000 0.000
Er: 0.500 0.500 0.500

Summary:
* energy of formation: -0.74 eV per formula unit
* ρ: 9.3 g cm⁻³
* SG: Pm-3m (221)

=====

Record 3
# ErCdGa

An optimized crystal structure of ErCdGa (r²SCAN, Materials Project).

Cell lengths 7.146, 7.146, 4.356 Å; angles 90.00, 90.00, 120.00 degrees
Atoms (fractional coordinates):
Er: 0.000 0.575 0.500
Er: 0.575 0.000 0.500
Er: 0.425 0.425 0.500
Ga: 0.333 0.667 0.000
Ga: 0.667 0.333 0.000
Ga: 0.000 0.000 0.500
Cd: 0.000 0.250 0.000
Cd: 0.250 0.000 0.000
Cd: 0.750 0.750 0.000

Summary:
* energy of formation: -1.73 eV per formula unit
* ρ: 9.0 g cm⁻³
* SG: P-62m (189)

=====

Record 4
# HoErCd2

An optimized crystal structure of HoErCd2 (r²SCAN, Materials Project).

Cell lengths 5.223, 5.223, 5.223 Å; angles 60.00, 60.00, 60.00 degrees
Atoms (fractional coordinates):
Er: 0.250 0.250 0.250
Ho: 0.750 0.750 0.750
Cd: 0.000 0.000 0.000
Cd: 0.500 0.500 0.500

Summary:
* energy of formation: -1.51 eV per formula unit
* ρ: 9.2 g cm⁻³
* SG: Fm-3m (225)

=====

What is the energy of formation in the first record? -1.04 eV per formula unit

=====

Among the records above, which one has the highest energy of formation? ErCd

=====

Among the records above, which one has the lowest energy of formation? ErCdGa

~~~~~

No. 1
Computed, not measured: an optimized crystal structure of NbCr3Cu2S8 at the PBE level of DFT.

Lattice parameters (Å, degrees): 11.4520 3.4176 12.0583 90.00 90.62 90.00
Last column: nearest neighbours and their distance in Å.
Space group P2_1/m (No. 11)
Inequivalent atoms, fractional coordinates:
Nb: 0.1465 0.2500 0.2142 [2 per cell]  6 S 2.45-2.60
Cr: 0.1187 0.2500 0.5742 [2 per cell]  6 S 2.35-2.56
Cr: 0.3539 0.7500 0.7057 [2 per cell]  6 S 2.40-2.52
Cr: 0.3905 0.7500 0.0678 [2 per cell]  6 S 2.40-2.46
Cu: 0.1318 0.7500 0.9159 [2 per cell]  7 S 2.53-2.80
Cu: 0.3876 0.2500 0.4375 [2 per cell]  5 S 2.37-2.57
S: 0.0253 0.2500 0.3807 [2 per cell]  3 Cr 2.44-2.56, 1 Nb 2.45
S: 0.0331 0.7500 0.1103 [2 per cell]  2 Nb 2.48, 3 Cu 2.56-2.61
S: 0.2153 0.2500 0.7509 [2 per cell]  3 Cr 2.39-2.40
S: 0.2500 0.2500 0.0231 [2 per cell]  2 Cr 2.40, 2 Cu 2.53, 1 Nb 2.60
S: 0.2517 0.7500 0.5302 [2 per cell]  3 Cr 2.35-2.41, 2 Cu 2.57
S: 0.2975 0.7500 0.2505 [2 per cell]  1 Cr 2.46, 2 Nb 2.47
S: 0.4689 0.2500 0.6189 [2 per cell]  3 Cu 2.37-2.47, 2 Cr 2.40
S: 0.4710 0.7500 0.8841 [2 per cell]  4 Cr 2.40-2.52

Results
Formation enthalpy at 0 K = -0.776 eV per atom
*/

Let us look further. Already Russia, rooted in greatness by the autocracy of the throne, ascends from perfection to perfection. The deep wounds of the Fatherland have been healed; the rejected members became part of the public body; even alien regions begin to seek peace under the shadow of autocrats who reign in God's mercy. Greater perfection cannot be desired according to the ordinary order of things!

But for a people faithful to the God of their fathers, there is no other order than the will of God and the will of kings. It is predestined that the young sons of the North should come out to the disgrace (theater, spectacle - ed.) of world events to moderate and bring the ardent children of the South to their senses; so that as soon as possible they will be equal in education with their elder brethren - and it will be! What do you need for this? To speed up the course of things for a whole century? - It will speed up. To spread the light of civil education even where the name of the laws is not known? -Spreads. To force the tsar himself to voluntarily descend from the throne to the woodworkers' temple, and instead of the autocratic skipper, to take up a mlat and an axe? -Will.

You already see, most honorable listeners, that our word concerns the deeds of the great reformer of our Fatherland. What an instructive subject for a reverent contemplator of God's destinies! The greatness of Peter is the true greatness of God's Providence for our Fatherland. Walking in the footsteps of this monarch in your mind, you involuntarily think that you are following in the footsteps of one of the God-chosen men of antiquity, armed with miracles. At Peter's beckoning to the sea, they forget their impassability, the rivers take on a different course, the deserts turn into cities, the mountains are humbled, the wilds are filled, the very tabernacle of the covenant – the Church of God – in the form of its external administration takes on a new appearance under him*. Who commanded this extraordinary luminary to rise in a country that had hitherto been famous only for the northern lights? Who breathed into his soul a multitude of great thoughts, each of which would have made great the mind that produced it? Where did the strength of the will come from, which found within itself that irresistible support on which, leaning on, it was able to move the whole Fatherland forward for a whole century? In the language of the world, which nowhere and in nothing wants to see the ways of God, such people are usually called geniuses: a name that strikingly changes the [course of] thought with which it is used! For the ancient world, meaning by the geniuses of guardian spirits, wanted to explain the greatness of extraordinary people by the supernatural influence of the latter; and now by the same name they think to turn them into sons of chance and to break their union with Heaven! That is, it is better to use words without thought than to admit that all these so-called geniuses are the visible instruments of Providence, the living mysteries of God's destinies, the true messengers of Heaven, who are to be the guardian angels of the nations.